For organizations who want to fully control the iManage Auto Updates process and experience for end users, it's also possible to host your own Auto Updates server. Hosting your own Auto Updatesxf server allows you to control all of the functionality and behaviors previously mentioned. Additionally, you:

  • Remove all dependency on iManage’s public Auto Update channels and publicly available download packages.

  • Deploy other third-party software packages along with iManage desktop software, using Auto Updates.

An Auto Updates server consists of a file server or web server that is available to your users and is also where install packages and the configuration files (update.ini and updateinfo.json files) used by Auto Updates are stored. These locations should be specified inside the update.ini file. 

When setting up your own Auto Updates server, make sure of the following:

  • The Auto Updates server must be available to your users, preferably even when disconnected from the firm’s VPN.

# Here the page breaks off for data records
=====
Entry 1:
## CaPb2WO6 (r2SCAN)

Data for crystalline CaPb2WO6 at its relaxed geometry.

Lattice parameters (Å, degrees): 8.3146 8.3146 8.3146 90.00 90.00 90.00
Space group Fm-3m (No. 225)
One atom of each set of equivalent atoms:
Ca 0.0000 0.0000 0.0000 [4 per cell]
Pb 0.2500 0.2500 0.2500 [8 per cell]
W 0.0000 0.0000 0.5000 [4 per cell]
O 0.0000 0.0000 0.2692 [24 per cell]

---

Entry 2:
## AcSnHg2 (r2SCAN)

Data for crystalline AcSnHg2 at its relaxed geometry.

Lattice parameters (Å, degrees): 7.6701 7.6701 7.6701 90.00 90.00 90.00
Space group Fm-3m (No. 225)
One atom of each set of equivalent atoms:
Ac 0.0000 0.0000 0.0000 [4 per cell]
Sn 0.0000 0.0000 0.5000 [4 per cell]
Hg 0.2500 0.2500 0.2500 [8 per cell]

---

Entry 3:
## PrEr3 (r2SCAN)

Data for crystalline PrEr3 at its relaxed geometry.

Summary:
The value obtained for the offset from the most stable computed form is 0.00 eV per formula unit.

Lattice parameters (Å, degrees): 7.2624 7.2624 5.7215 90.00 90.00 120.00
Space group P6_3/mmc (No. 194)
One atom of each set of equivalent atoms:
Pr 0.3333 0.6667 0.2500 [2 per cell]
Er 0.1645 0.3291 0.7500 [6 per cell]

---

Entry 4:
## Ho4MnS7 (r2SCAN)

Data for crystalline Ho4MnS7 at its relaxed geometry.

Lattice parameters (Å, degrees): 12.4792 3.7761 11.4112 90.00 105.01 90.00
Space group Cm (No. 8)
One atom of each set of equivalent atoms:
Ho 0.0000 0.0000 0.0000 [2 per cell]
Ho 0.0794 0.5000 0.3634 [2 per cell]
Ho 0.1935 0.5000 0.8012 [2 per cell]
Ho 0.3865 0.0000 0.5969 [2 per cell]
Mn 0.3078 0.5000 0.2169 [2 per cell]
S 0.0336 0.0000 0.7436 [2 per cell]
S 0.1574 0.5000 0.0194 [2 per cell]
S 0.1976 0.0000 0.2925 [2 per cell]
S 0.2309 0.5000 0.5807 [2 per cell]
S 0.3540 0.0000 0.8470 [2 per cell]
S 0.4260 0.0000 0.1486 [2 per cell]
S 0.4497 0.5000 0.4361 [2 per cell]

---

Entry 5:
## Ir3W (r2SCAN)

Data for crystalline Ir3W at its relaxed geometry.

Lattice parameters (Å, degrees): 5.5152 5.5152 4.4092 90.00 90.00 120.00
Space group P6_3/mmc (No. 194)
One atom of each set of equivalent atoms:
Ir 0.1662 0.3325 0.2500 [6 per cell]
W 0.3333 0.6667 0.7500 [2 per cell]

---

Entry 6:
## MgAlRh2 (r2SCAN)

Data for crystalline MgAlRh2 at its relaxed geometry.

Lattice parameters (Å, degrees): 6.0448 6.0448 6.0448 90.00 90.00 90.00
Space group Fm-3m (No. 225)
One atom of each set of equivalent atoms:
Mg 0.0000 0.0000 0.0000 [4 per cell]
Al 0.0000 0.0000 0.5000 [4 per cell]
Rh 0.2500 0.2500 0.2500 [8 per cell]

---

Entry 7:
## RbTh3F13 (r2SCAN)

Data for crystalline RbTh3F13 at its relaxed geometry.

Lattice parameters (Å, degrees): 8.1625 7.4465 8.6597 90.00 90.00 90.00
Space group Pmc2_1 (No. 26)
One atom of each set of equivalent atoms:
Rb 0.0000 0.1059 0.0000 [2 per cell]
Th 0.2469 0.3969 0.3584 [4 per cell]
Th 0.5000 0.1078 0.6925 [2 per cell]
F 0.0000 0.2274 0.3246 [2 per cell]
F 0.0000 0.4367 0.8456 [2 per cell]
F 0.1957 0.4522 0.0960 [4 per cell]
F 0.2443 0.1742 0.5494 [4 per cell]
F 0.3041 0.1154 0.2357 [4 per cell]
=====

  • Access to the file server should be read only to all users, except administrators who'll be updating the files periodically.


Make sure that the update server includes the following files:

  • pubcert.crt

  • update.ini

  • updateinfo.json

  • imanageinstaller.ts1

  • imanageinstaller.ts2

  • imanageinstaller.ts3

  • ConfigFileSigner.exe

  • iManageUpdaterRest.exe

  • iManageUpdaterToast.exe

  • iManageUpdaterVerify.exe

  • sign.txt

You can download sample content for each of these files from Make sure to add the file name to the link to download the file.

For example, to download the sample update.ini file, visit or to download the sample sign.txt, visit Similarly, you can download the other files.

To specify the update server location, upload the update.ini file using iManage Control Center:

  1. Open iManage Control Center, and select SETTINGSOffice Configuration. 

  2. Select the Upload File button to upload the update.ini file.

You can also specify the update server location using the following options, which are listed in the order of their precedence. Users are directed to the specified update server when they install the applications and whenever the applications are updated. 

  • Command line: You can run the installer from the command line with the following argument:
    For example: iManageInstaller.exe

  • Registry setting: You can add the following registry setting:

    • Location: HKEY_LOCAL_MACHINE\Software\iManage\AgentServices\AutoUpdate  


    • Type: String (REG_SZ)

    • Value: Path to the server; for example, \\shared-drive\work-updates\

      The server path can be a file path (local or UNC style) or an HTTP/HTTPS web server. If you are using a web server, ensure that the following mime types are defined on the server:

~~~
Li3Co4NiO8 | PBE with a Hubbard U | relaxed

Values from the calculation:
E: -5.521 eV/atom
space-group type: No. 12
ΔE_f: -1462.7 meV per atom

Cell lengths 5.771, 5.771, 5.751 Å; angles 119.32, 119.32, 59.50 degrees
Atoms (fractional coordinates):
Li: 0.000 0.000 0.000
Li: 0.000 0.500 0.000
Li: 0.500 0.000 0.000
Co: 0.000 0.000 0.500
Co: 0.000 0.500 0.500
Co: 0.500 0.000 0.500
Co: 0.500 0.500 0.000
Ni: 0.500 0.500 0.500
O: 0.227 0.744 0.730
O: 0.238 0.238 0.715
O: 0.254 0.254 0.274
O: 0.256 0.773 0.270
O: 0.744 0.227 0.730
O: 0.746 0.746 0.726
O: 0.762 0.762 0.285
O: 0.773 0.256 0.270

=====

DFT (PBE-GGA) results for Na2AlH4ClO4 after structural relaxation.

E: -5.15 eV/atom
Energy with MP2020 corrections: -5.38 eV per atom
Formation energy from the elements: -1909.0 meV/atom

The structure in CIF format:
```
data_Na2AlH4ClO4
_symmetry_space_group_name_H-M 'P 1'
_symmetry_Int_Tables_number 1
_cell_length_a 7.594
_cell_length_b 7.594
_cell_length_c 5.102
_cell_angle_alpha 90.00
_cell_angle_beta 90.00
_cell_angle_gamma 90.00
loop_
_symmetry_equiv_pos_as_xyz
'x,y,z'
loop_
_atom_site_label
_atom_site_fract_x
_atom_site_fract_y
_atom_site_fract_z
_atom_site_occupancy
Na1 0.000 0.000 0.000 1
Na2 0.000 0.500 0.000 1
Na3 0.500 0.000 0.000 1
Na4 0.500 0.500 0.000 1
Al1 0.250 0.750 0.500 1
Al2 0.750 0.250 0.500 1
H1 0.040 0.250 0.391 1
H2 0.250 0.040 0.391 1
H3 0.250 0.460 0.391 1
H4 0.460 0.250 0.391 1
H5 0.540 0.750 0.609 1
H6 0.750 0.540 0.609 1
H7 0.750 0.960 0.609 1
H8 0.960 0.750 0.609 1
Cl1 0.250 0.250 0.721 1
Cl2 0.750 0.750 0.279 1
O1 0.066 0.750 0.718 1
O2 0.250 0.566 0.282 1
O3 0.250 0.934 0.282 1
O4 0.434 0.750 0.718 1
O5 0.566 0.250 0.282 1
O6 0.750 0.066 0.718 1
O7 0.750 0.434 0.718 1
O8 0.934 0.250 0.282 1
```

---

DFT (PBE-GGA) results for Na7Al12Si12H6ClO48 after structural relaxation.

E: -6.92 eV/atom
Energy with MP2020 corrections: -7.31 eV per atom
Formation energy from the elements: -2897.9 meV/atom

The structure in CIF format:
```
data_Na7Al12Si12H6ClO48
_symmetry_space_group_name_H-M 'P 1'
_symmetry_Int_Tables_number 1
_cell_length_a 9.228
_cell_length_b 9.383
_cell_length_c 18.503
_cell_angle_alpha 89.86
_cell_angle_beta 87.27
_cell_angle_gamma 89.98
loop_
_symmetry_equiv_pos_as_xyz
'x,y,z'
loop_
_atom_site_label
_atom_site_fract_x
_atom_site_fract_y
_atom_site_fract_z
_atom_site_occupancy
Na1 0.000 0.000 0.000 1
Na2 0.003 0.970 0.499 1
Na3 0.082 0.459 0.047 1
Na4 0.162 0.491 0.547 1
Na5 0.372 0.490 0.718 1
Na6 0.460 0.455 0.229 1
Na7 0.535 0.999 0.271 1
Al1 0.032 0.708 0.368 1
Al2 0.038 0.713 0.874 1
Al3 0.239 0.201 0.769 1
Al4 0.249 0.208 0.260 1
Al5 0.276 0.210 0.509 1
Al6 0.288 0.206 0.013 1
Al7 0.501 0.714 0.400 1
Al8 0.507 0.707 0.899 1
Al9 0.761 0.445 0.627 1
Al10 0.768 0.455 0.136 1
Al11 0.769 0.966 0.135 1
Al12 0.776 0.961 0.630 1
Si1 0.018 0.202 0.636 1
Si2 0.018 0.208 0.141 1
Si3 0.263 0.967 0.386 1
Si4 0.269 0.963 0.891 1
Si5 0.271 0.457 0.888 1
Si6 0.272 0.459 0.382 1
Si7 0.519 0.207 0.131 1
~~~
Back to the text

      • application/octet-stream - ts3

      • application/zip - ts1 and ts2

  • Environment variable: You can add the UPDATESERVERPATH variable with the required server location to the environment path; iManage installer will use that information for downloading the applications and their updates.


  • You can use the command line and environment variable options only during the installation of iManage Installer.

  • The registry setting is used during the installation and the update process. 

  • If you don't set the update server location using any of the options listed in this section. iManage Updater downloads the software application and their updates from